Collapsing Dust

The Tolman-Bondi Solution to Einstein's Equations is a time-dependent solution describing the collapse of a pressureless perfect fluid, commonly termed "dust". We will use it to illustrate how one might go about solving Einstein's Equations from an ansatz, as well as to illustrate the use of curvature invariants as clues in uncovering relations between metrics. We will restrict our attention to 4-dimensional solutions in this section.

We begin with the most general form [Kramer] of a spherically symmetric, time-dependent spacetime, in our usual coordinate chart {r, c, φ, t}:

ds2 = B(r, t)2 dr2 + R(r, t)2 dc2 / (1 - c2) + (1 - c2) R(r, t)2 2 - A(r, t)2 dt2
The velocity vector of an observer comoving with the source fluid is purely timelike. Choosing a unit comoving velocity vector
u = {0, 0, 0, 1 / A(r, t)}
and setting the pressure equal to zero, we find that the only nonzero component of the
stress-energy tensor is
Ttt = - ρ(r, t)
where ρ(r, t) is the as-yet unknown fluid density.

We examine the conservation equation first, because it is first order in derivatives of the stress tensor. It is obviously going to be much simpler than Einstein's Equations, which of course are second order in derivatives of the metric. The nonzero components of the conservation equation are

# 1
Starting from a DFT-relaxed cell (GGA-PBE, Alexandria), the powder X-ray diffraction pattern of Pa4GeC2 was calculated for Cu Ka.
Peak positions follow from Bragg's law for the DFT cell and can differ from measured ones.

Top 10 peaks for 2θ from 10° to 90°, most intense first:
| Position (°2θ) | Rel. int. | index |
| --- | --- | --- |
| 33.63 | 100 | 1 3 1 |
| 32.78 | 86 | 0 2 4 |
| 60.72 | 32 | 0 0 8 |
| 29.28 | 28 | 1 1 2 |
| 54.10 | 19 | 1 5 4 |
| 49.58 | 14 | 2 0 0 |
| 50.03 | 13 | 1 5 3 |
| 63.29 | 13 | 1 3 7 |
| 26.32 | 12 | 0 2 3 |
| 29.15 | 11 | 0 4 0 |

Structure:
Unit cell a=3.6770 b=12.2525 c=12.1991 alpha=90.00 beta=90.00 gamma=90.00
Space group Cmcm (No. 63)
Unique sites:
Pa 0.0000 0.0000 0.0000 (multiplicity 4)
Pa 0.0000 0.2697 0.1152 (multiplicity 8)
Pa 0.0000 0.4164 0.7500 (multiplicity 4)
Ge 0.0000 0.0937 0.7500 (multiplicity 4)
C 0.0000 0.3629 0.5565 (multiplicity 8)

---

# 2
Starting from a DFT-relaxed cell (GGA-PBE, Alexandria), the powder X-ray diffraction pattern of PaGeC was calculated for Cu Ka.
Peak positions follow from Bragg's law for the DFT cell and can differ from measured ones.

Top 10 peaks for 2θ from 10° to 90°, most intense first:
| Position (°2θ) | Rel. int. | index |
| --- | --- | --- |
| 26.91 | 100 | 0 1 2 |
| 36.06 | 68 | 1 0 7 |
| 45.78 | 44 | 1 1 0 |
| 31.48 | 40 | 0 1 5 |
| 56.81 | 31 | 1 1 9 |
| 31.80 | 26 | 0 0 9 |
| 59.62 | 16 | 0 2 7 |
| 53.90 | 15 | 2 0 2 |
| 78.28 | 15 | 2 1 7 |
| 57.59 | 14 | 0 1 14 |

Structure:
Unit cell a=3.9640 b=3.9640 c=25.3295 alpha=90.00 beta=90.00 gamma=120.00
Space group R-3m (No. 166, hexagonal axes)
Unique sites:
Pa 0.0000 0.0000 0.2226 (multiplicity 6)
Ge 0.0000 0.0000 0.3556 (multiplicity 6)
C 0.0000 0.0000 0.1299 (multiplicity 6)

---

# 3
Starting from a DFT-relaxed cell (GGA-PBE, Alexandria), the powder X-ray diffraction pattern of Pm3Ge2RuC was calculated for Cu Ka.
Peak positions follow from Bragg's law for the DFT cell and can differ from measured ones.

Top 10 peaks for 2θ from 10° to 90°, most intense first:
| Position (°2θ) | Rel. int. | index |
| --- | --- | --- |
| 36.66 | 100 | 1 1 4 |
| 31.03 | 97 | 1 1 2 |
| 33.27 | 52 | 0 0 6 |
| 36.49 | 44 | 0 2 0 |
| 50.21 | 32 | 0 2 6 |
| 70.34 | 23 | 2 2 6 |
| 45.87 | 23 | 2 0 0 |
| 65.17 | 23 | 1 1 10 |
| 57.83 | 22 | 2 0 6 |
| 59.98 | 21 | 2 2 0 |

Structure:
Unit cell a=3.9570 b=4.9241 c=16.1592 alpha=90.00 beta=90.00 gamma=90.00
Space group Immm (No. 71)
Unique sites:
Pm 0.0000 0.0000 0.0000 (multiplicity 2)
Pm 0.0000 0.5000 0.1628 (multiplicity 4)
Ge 0.0000 0.5000 0.3500 (multiplicity 4)
Ru 0.0000 0.0000 0.5000 (multiplicity 2)
C 0.0000 0.5000 0.0000 (multiplicity 2)

---

# 4
Starting from a DFT-relaxed cell (GGA-PBE, Alexandria), the powder X-ray diffraction pattern of Pm4SnGeC was calculated for Cu Ka.
Peak positions follow from Bragg's law for the DFT cell and can differ from measured ones.

Top 10 peaks for 2θ from 10° to 90°, most intense first:
| Position (°2θ) | Rel. int. | index |

Tar; a = ρ(r, t) A'(r, t) / A(r, t)
Tat; a = - (R(r, t) ρ(r, t) B. (r, t) + 2 B(r, t) ρ(r, t) R. (r, t) +
B(r, t) R(r, t) ρ. (r, t)) / (B(r, t) R(r, t))
where here and below we denote derivatives with respect to r with primes and derivatives with respect to t using dots. We see from the first equation that A(r, t) does not depend on r, and so with a simple rescaling of the time coordinate we can set gt t equal to -1. This is equivalent to the inverse coordinate transformation
tp -> Integrate[ A[t], t]
followed by a redefinition of the remaining metric functions in terms of the new time coordinate. We can use Mathematica to find a solution to the other conservation equation:
DSolve[ cons[[4]] == 0, B[r, t], {r, t}]
{{B[r, t] -> C[1][r] / (R[r, t]2 rho[r, t])
where cons[[4]] is the time component of the conservation equation and "C[1][r]" denotes an unknown function of r. We will call this function B[r] and work now from the metric
ds2 = B(r)2 dr2 / (R(r, t)4 ρ(r, t)2) + R(r, t)2 dc2 / (1 - c2) + (1 - c2) R(r, t)2 2 - dt2
We now compute the
Einstein Tensor and look at its simplest components first. By setting the "r r" component equal to zero, we find an equation for B(r) as a function of ρ(r, t) and R(r, t) and its derivatives, and by setting the "r t" component equal to zero we have a differential equation involving ρ(r, t) and R(r, t). Solving these equations we obtain
B(r)2 = R(r, t)4 ρ(r, t)2 R'(r, t)2 / (1 + R. (r, t)2 + 2 R(r, t) R.. (r, t))
ρ(r, t) = ρ(r) / (R(r, t)2 R'(r, t))
The former equation is accompanied by an implicit constraint: since B(r) is not a function of t, the time derivative of the right hand side must vanish. This gives us a constraint on R(r, t):
2 R. (r, t) R.. (r, t) + R(r, t) R... (r, t) = 0
= (R. (r, t)2 + 2 R(r, t) R.. (r, t)). / 2

== E(r).

(the justification for this nomenclature will appear below) and so
B(r) = R(r, t)2 ρ(r, t) R'(r, t) / (1 + 2 E(r))1/2
We now have the metric solely as a function of R:
ds2 = R'(r, t)2 dr2 / (1 + R. (r, t)2 + 2 R(r, t) R.. (r, t)) +
R(r, t)2 dc2 / (1 - c2) + (1 - c2) R(r, t)2 2 - dt2
subject, of course to the constraint on R(r, t). The only remaining equation to solve is the "t t" component of Einstein's Equations, which has the solution
ρ(r) = - R(r, t) (2 R.. (r, t) R'(r, t) + R(r, t) R'.. (r, t)) / (4 π)
This solution too comes with an implicit constraint, which is satisfied so long as the previous one is. This means that
ρ(r, t) = - (2 R.. (r, t) R'(r, t) + R(r, t) R'.. (r, t)) / (4 π R(r, t) R'(r, t))
= - (R(r, t)2 R.. (r, t))' / (4 π R(r, t)2 R'(r, t))
so that
4 π R(r, t)2 ρ(r, t) dR(r, t) = - d(R(r, t)2 R.. (r, t))
Therefore, if we treat R(r, t) as the physical radial coordinate,
M(r, t) = - R(r, t)2 R.. (r, t)
is the mass contained in a ball of radius r at time t. r then becomes a label coordinate, labeling an infinitesimally thick spherical shell of dust. If we write the sum of the kinetic and potential energies of one such shell, we have
E = ε(r,t) R. (r, t)2 / 2 - ε(r,t) M(r, t) / R(r, t)
= ε(r,t) (R. (r, t)2 / 2 + R(r, t) R.. (r, t))

= ε(r,t) E(r)

where ε(r,t) is the mass of the shell. Hence E(r) is the energy per unit mass of the shell at coordinate label r.

We now have only to solve the constraint on R(r, t) in order to have a solution. We observe that both terms of the constraint have time derivatives of order 2 or larger. Hence one solution is any function linear in t. We therefore try a slightly more general solution of the form

R(r, t) = (f1(r) + f2(r) (a t + b))d
and substitute into the constraint to obtain
a (d - 1) d (3 d - 2) f2(r) (f1(r) + (a t + b) f2(r))d - 1 = 0
If you use the Mathematica ReplaceAll and Rule functions to naively substitute this ansatz for R(r, t) into the constraint equation, you will be disappointed: ReplaceAll is absolutely literal, and as a result, none of the derivative factors will be changed. The following code can help here:
rules[rlis_List] := Block[ {args}, (
args = Table[ rlis[[1, 1, i]], {i, Length[ rlis[[1, 1]]]}];

Return[ Flatten[ {rlis, Table[ Thread[ D[ rlis, args[[i]]]], {i, Length[args]}],

Table[ Table[ Thread[ D[ D[ rlis, args[[i]]], args[[j]]]],
{j, Length[args]}], {i, Length[args]}]}]])];
FullSimplify[ conseq /. rules[ rules[ {R[r,t] -> (f[r] + f2[r] (a t + b)) ^ d}]]]
The argument "rlis" to rules is itself a list of Mathematica rules. The variable "args" is a list of those coordinates which are arguments to the left hand side of the first Mathematica rule in rlis. The function returns a list of Mathematica rules which include rlis and its first and second derivatives with respect to all of the coordinates in args. As illustrated, you can apply the function to its own output to increase the order of the "derivative rules" it generates.

Returning to the constraint, we see that it is solved for d = 1 or d = 2/3. For d = 1 (the solution linear in t), we find that ρ is zero. But for d = 2/3, we have a nontrivial solution. The mass is then

'''
RbNaTiO3: computed powder diffraction line list (Cu Kα X-rays), based on a GGA-PBE-relaxed structure.
Peak positions follow from Bragg's law for the DFT cell and can differ from measured ones.

The 10 most intense peaks (2θ from 10° to 90°), low angle first:
| index | d (Å) | 2θ (°) | Rel. int. |
| --- | --- | --- | --- |
| 1 1 -1 | 3.905 | 22.8 | 255 |
| 2 0 0 | 2.973 | 30.1 | 697 |
| 0 0 2 | 2.793 | 32.0 | 1000 |
| 1 3 -1 | 2.779 | 32.2 | 893 |
| 1 3 1 | 2.720 | 32.9 | 993 |
| 2 2 0 | 2.625 | 34.2 | 277 |
| 0 2 2 | 2.497 | 36.0 | 258 |
| 2 0 -2 | 2.084 | 43.4 | 476 |
| 2 0 2 | 1.989 | 45.6 | 404 |
| 1 3 -3 | 1.621 | 56.8 | 332 |

Atomic structure:
a b c (Å): 5.9524 11.1881 5.5863
angles (deg): 90.00 92.68 90.00
Space group C2/c (No. 15)
Inequivalent atoms, fractional coordinates:
Rb (0.0000, 0.2325, 0.2500) [4 per cell]
Na (0.0000, 0.0755, 0.7500) [4 per cell]
Ti (0.0000, 0.4484, 0.7500) [4 per cell]
O (0.0000, 0.2896, 0.7500) [4 per cell]
O (0.2137, 0.4911, 0.4979) [8 per cell]

* * * * *

# Rb4Mg3VF12
Calculated XRD peak list, copper Kα. Input: a crystal structure in Alexandria, relaxed with PBE+U.
Neutral-atom scattering factors, no anomalous dispersion.

Largest 10 diffraction maxima, by angle, 2θ = 5–70°:
2θ/deg, d [Å], Rel. int.
15.06, 5.884, 2
21.36, 4.161, 14
26.23, 3.397, 1
30.38, 2.942, 100
37.44, 2.402, 50
43.50, 2.080, 57
48.95, 1.861, 7
53.98, 1.699, 39
63.21, 1.471, 33
67.54, 1.387, 4

Crystal structure
abc: 7.2064 7.2064 7.2064
angles: 109.47 109.47 109.47
Fractional coordinates of all 20 atoms:
1 Rb 0.0000 0.0000 0.5000
2 Rb 0.0000 0.5000 0.0000
3 Rb 0.5000 0.0000 0.0000
4 Rb 0.5000 0.5000 0.5000
5 Mg 0.0000 0.5000 0.5000
6 Mg 0.5000 0.0000 0.5000
7 Mg 0.5000 0.5000 0.0000
8 V 0.0000 0.0000 0.0000
9 F 0.0000 0.2571 0.2571
10 F 0.0000 0.7429 0.7429
11 F 0.2500 0.5000 0.7500
12 F 0.2500 0.7500 0.5000
13 F 0.2571 0.0000 0.2571
14 F 0.2571 0.2571 0.0000
15 F 0.5000 0.2500 0.7500
16 F 0.5000 0.7500 0.2500
17 F 0.7429 0.0000 0.7429
18 F 0.7429 0.7429 0.0000
19 F 0.7500 0.2500 0.5000
20 F 0.7500 0.5000 0.2500

* * * * *

No. 1
# Sc5Ni3
Simulated powder diffractogram, Cu Kα, 1.54184 Å. Input: the PBE geometry in Alexandria.

Atomic structure:
Cell lengths 10.136, 10.136, 5.758 Å; angles 90.00, 90.00, 90.00 degrees
Atoms (fractional coordinates):
Sc  0.041  0.163  0.132
Sc  0.041  0.337  0.632
Sc  0.163  0.041  0.632
Sc  0.163  0.459  0.132
Sc  0.250  0.750  0.000
Sc  0.250  0.750  0.500
Sc  0.337  0.041  0.132
Sc  0.337  0.459  0.632
Sc  0.459  0.163  0.632
Sc  0.459  0.337  0.132
Sc  0.541  0.663  0.868
Sc  0.541  0.837  0.368
Sc  0.663  0.541  0.368
Sc  0.663  0.959  0.868
Sc  0.750  0.250  0.000
Sc  0.750  0.250  0.500
Sc  0.837  0.541  0.868
Sc  0.837  0.959  0.368
Sc  0.959  0.663  0.368
Sc  0.959  0.837  0.868
Ni  0.094  0.594  0.750
Ni  0.094  0.906  0.250
Ni  0.250  0.250  0.383
Ni  0.250  0.250  0.883
Ni  0.406  0.594  0.250
Ni  0.406  0.906  0.750
Ni  0.594  0.094  0.250
Ni  0.594  0.406  0.750
Ni  0.750  0.750  0.117
'''
**Back to the entry:**

M(r, t) = 2 a2 f2(r)2 / 9
= M(r) == f(r) / 2,
introducing the Tolman-Bondi mass function f(r). It remains to enforce the initial condition
R(r, 0) = r
which gives us
f1(r) = r3/2 - b f2(r)
Putting this all together we have the Tolman-Bondi metric
ds2 = (2 (r f(r))1/2 - t f '(r))2 dr2 / (4 f(r) (r3/2 - 3 t f(r)1/2 / 2)2/3) +
(r3/2 - 3 t f(r)1/2 / 2)4/3 dc2 / (1 - c2) +

(1 - c2) (r3/2 - 3 t f(r)1/2 / 2)4/3 2 - dt2

with density function
ρ(r, t) = f(r)1/2 f '(r) / (r3/2 - 3 t f(r)1/2 / 2) (8 π ((r f(r))1/2 - t f '(r) / 2))
(We are ignoring the solution t -> -t, which represents expanding dust.) E(r) is zero for this solution, which indicates that its shells are marginally bound. If we note that for this solution,
R(r, t) = (r3/2 - 3 t f(r)1/2 / 2)2/3
we can put the metric in the form
ds2 = R'(r, t)2 dr2 + R(r, t)2 dc2 / (1 - c2) + (1 - c2) R(r, t)2 2 - dt2
with density function
ρ(r, t) = f '(r) / (8 π R(r, t)2 R'(r, t))


It is probably most useful to express geometric quantities in terms of the physical radius R(r, t). The nonzero
Christoffel Symbols are
Γ rr r R''(r, t) / R'(r,t)
Γ rr t R'. (r, t) / R'(r,t)
Γ rc c - R(r, t) / ((1 - c2) R'(r,t))
Γ rφ φ - (1 - c2) R(r, t) / R'(r, t)
Γ cr c R'(r, t) / R(r, t)
Γ cc c c / (1 - c2)
Γ cc t R. (r, t) / R(r, t)
Γ cφ φ c (1 - c2)
Γ φr φ R'(r, t) / R(r, t)
Γ φc φ -c / (1 - c2)
Γ φ φ t R. (r, t) / R(r, t)
Γ tr r R'(r, t) R'. (r, t)
Γ tc c R(r, t) R. (r, t) / (1 - c2)
Γ tφ φ (1 - c2) R(r, t) R. (r, t)
It may be useful to note that
R'(r, t) = ((r f(r))1/2 - t f '(r) / 2) / (f(r) R(r, t))1/2

R. (r, t) = - (f(r) / R(r, t))1/2

R'. (r, t) = (r1/2 f(r) - (r3/2 - t f(r)1/2) f '(r)) / (2 R(r, t)2 f(r)1/2), and

R''(r, t) = (-((r f(r))1/2 - t f '(r) / 2)2 +

R(r, t)3/2 (2 (f(r) / r1/2) + t (f '(r)2 - 2 f(r) f ''(r)) / f(r)1/2) / 4) /

(2 f(r) R(r, t)2)

As expected from the spherical symmetry of the solution, the r-t hypersurface is geodesic, as is the r-c-t hypersurface. The structure of the Christoffel Symbols leads us to expect that the coordinate chart breaks down at the zeroes of both R(r, t) and R'(r, t). Zeroes of R'(r, t) are unphysical: if the physical radius does not depend on the shell label, then multiple shells are at the same physical radius.

To investigate the zeroes of R(r, t), we will examine the equation for null geodesics

ds2 = 0
When applied to radial geodesics (dc = dφ = 0) it implies
dr / dt = 1 / R'(r, t)
For such geodesics, the change in physical radius with time is
dR(r, t) / dt = R'(r, t) dr / dt + R. (r, t)
= 1 + R. (r, t)

= 1 - (f(r) / R(r, t))1/2

Hence if f(r) approaches zero at the same rate as R(r, t) approaches zero, an asymptotic observer will not see the singularity ar R(r, t) = 0. Otherwise it will be visible as a naked singularity.

The nonzero components of the Riemann Tensor are

R r c r c R(r, t) R'(r, t) R. (r, t) R'. (r, t) / (1 - c2)
R r φ r φ (1 - c2) R(r, t) R'(r, t) R. (r, t) R'. (r, t)
R r t r t - R'(r, t) R'.. (r, t)
R c φ c φ R(r, t)2 R. (r, t)2
R c t c t - R(r, t) R.. (r, t) / (1 - c2)
R φ t φ t - (1 - c2) R(r, t) R.. (r, t)
and the nonzero components of the Ricci Tensor are
R r r R'(r, t) (2 R. (r, t) R'. (r, t) + R(r, t) R'.. (r, t)) / R(r, t)
R c c (R'(r, t) R. (r, t)2 + R(r, t) R'(r, t) R.. (r, t) + R(r, t) R. (r, t) R'. (r, t)) / ((1 - c2) R'(r, t))
R φ φ (1 - c2) (R'(r, t) R. (r, t)2 + R(r, t) R'(r, t) R.. (r, t) + R(r, t) R. (r, t) R'. (r, t)) / R'(r, t)
R t t - (2 R'(r, t) R.. (r, t) + R(r, t) R'.. (r, t)) / (R(r, t) R'(r, t))
Many of the invariants are less than meaningful, but those which are, are given below, along with the denominators of the others:
R 8 π ρ(r, t)
Ra b Ra b 64 π2 ρ(r, t)2
Ra b c d Ra b c d ~ 1 / (R(r, t)4 R'(r, t)2)
Ra b Rca Rb c 128 π3 ρ(r, t)3
Ra b c d Ra c Rb d 384 π3 ρ(r, t)3
Ra b c d Rea Rb c d e ~ 1 / (R(r, t)6 R'(r, t)3)
Ra b c d Re fa b Rc d e f ~ 1 / (R(r, t)6 R'(r, t)3)
Ra b c d Reafc Rb e d f ~ 1 / (R(r, t)4 R'(r, t)2)
Ra b c d Reafc Rb f d e ~ 1 / (R(r, t)6 R'(r, t)3)
Ra b; c Ra b; c ~ 1 / (R(r, t)6 R'(r, t)6)
Ra b; c Ra c; b ~ 1 / (R(r, t)6 R'(r, t)6)
Ra b; a Rcb; c ~ 1 / (R(r, t)6 R'(r, t)6)
Ra b c d; e Ra b c d; e ~ 1 / (R(r, t)6 R'(r, t)6)
Ra b c d; a Reb c d; e ~ 1 / (R(r, t)6 R'(r, t)6)
Euler class 32 R. (r, t) (2 R.. (r, t) R'. (r, t) + R. (r, t) R'.. (r, t)) / (R(r, t)2 R'(r, t))
εa b c i ... εe f gi ... Rb c eh Rf g a h ~ 1 / (R(r, t)3 R'(r, t)2)
It is obvious from the above that the singularity at R(r, t) = 0 is essential.

Schwarzschild Limit

Since f(r) is twice the mass contained within a ball whose surface is labeled by the coordinate r, there is a simple limit to this metric: when f(r) = 2M, a constant, all of the mass is contained within all of the "shells", and so it is concentrated at r = 0. We should have then the
Schwarzschild Spacetime. In this limit, we have
ds2 = 8 M r dr2 / (8 M (r3/2 - 3 t (M / 2)1/2)2/3) +
(r3/2 - 3 t (M / 2)1/2)4/3 dc2 / (1 - c2) +

(1 - c2) (r3/2 - 3 t (M / 2)1/2)4/3 2 - dt2

This is not obviously related to the Schwarzschild metric, and so we need to find a coordinate transformation which makes explicit the relationship between the two. To do this, we examine the Kretschmann Invariant for both metrics. For the Tolman-Bondi metric in the Schwarzschild limit,
Ra b c d Ra b c d = 48 M2 / (r3/2 - 3 t (M / 2)4
while for the Schwarzschild metric it is
Ra b c d Ra b c d = 48 M2 / rS6
Equating these and solving for rS(r, t), we are led to the coordinate transformation
coordxform[ gs, {rs, c, ph, ts}, {(r3/2 - 3 t (M / 2)1/2)2/3, c, ph, h(r, t)}, {r, c, ph, t}]
from the Schwarzschild metric to the Tolman-Bondi metric. If we set the latter's t t component equal to -1, Mathematica is unable to solve the resulting differential equation for h(r, t) But if we apply the rule
(2 r3/2 - 3 21/2 M1/2 t) -> u(r, t),
the t t component becomes
(4 M + (8 M - 8 M2 / (u(r, t) / 2)2/3 - 21/3 u(r, t)2/3) h. (r, t)2 / (21/3 u(r, t)2/3 - 4 M)
Setting this equal to -1 and using DSolve we obtain the solution
h(r, t) = Integrate[ u(r, t)2/3 / (25/3 M - u(r, t)2/3), t] + h(r)
Once again, Mathematica is unable to perform this integration after the substitution for u(r, t). But we can cheat a little: we do not need h(r, t), but only some function whose time derivative is the same in order to effect the coordinate transformation from Schwarzschild time to Tolman-Bondi time. After a little experimentation, we notice that the time derivatives of
f ( u(r, t) ) dt
( f ( u(r, t) ) u. (r, t) dt ) / u. (r, t)
are identical if u(r, t) is linear in t. And of course it is. The latter integral, after substitution of our u(r, t), is
r3/2 / (3 (M / 2)1/2) - t + 27/6 M1/2 (2 r3/2 - 3 (2 M)1/2 t)1/3 -
4 M Tanh-1((2 r3/2 - 3 (2 M)1/2 t)1/3 / (25/6 M1/2))
Retaining the terms in t, we have the desired coordinate transformation relating the Tolman-Bondi metric in the Schwarzschild limit to the Schwarzschild metric itself. Hence we see that the Tolman-Bondi metric in the Schwarzschild limit is simply the Schwarzschild metric in comoving coordinates.

The next section discusses several computations involving BPS membranes in D=10 and D=11 supergravity.

©2005, Kenneth R. Koehler. All Rights Reserved. This document may be freely reproduced provided that this copyright notice is included.

Please send comments or suggestions to the author.